LA Marathon

LA Marathon

After 5 months of training, yesterday I completed the LA Marathon, something I have wanted to do for the last several years. I went through a training program with my friend Holly. We met 3-4 times each week and worked very hard to get ready for the big day. Sunday began with getting to Dodger Stadium at 6am, waiting with our pace group, and then lining up in the mass of people at the start line. It was exciting to see how many people were there, and they were all so different. Some old, some really young, some dressed up, such a range of people all there to accomplish the same goal. Once the race started it took about 15 minutes to actually cross the start line, and even then it was a challenge to get through the mass of people that were ahead of us.

While I was running the girls were at home getting ready to come to the finish line. What I didn’t know was that they were trying to meet me along the route as well.

I felt reasonably good until mile 15. That is when I started to doubt if I would be able to finish well. My whole body hurt, my brain told me that I should stop..who’s dumb idea was this? Holly was so encouraging, and so loyal. She didn’t run ahead. She walked when I needed to, reminded me to eat, gave me small goals to work toward. At mile 18 I knew that I was slowing her down and holding her back from what she could do. So I encouraged her to go ahead. She didn’t want to go, but I knew that she would be better off to go without me so she could finish strong. Reluctantly she left. It was like she was moving away with as hard as it was to see her leave. Who cries during a race…me. Not too long later I saw my kids and that lifted my spirits.

Not long after that my friends from church showed up to run the rest of the race with Holly and I. They couldn’t have shown up at a better time. Holly was a mess because she left me, I was just a mess. So they did their best to put us back together and press on toward the end. 8 miles is a long way to run with someone who doesn’t really want to run. So I owe V a huge something. She was my lifeline. Just her being there somehow got me to run when I really didn’t want to.

The last 2 miles were tough, but the adrenaline started when I could hear the finish line noises. It was so wonderful to see the finish line in the distance. I wanted to run faster so it could be over faster. My goal was to finish in under 5 hours and I crossed the finish line at 4:56:47. I got to see my family and eat my hoagie. It was a wonderful feeling.

Holly finished in 4:48:26. Well done friend!

........
A relaxed structure of Ca3In2O6. Source: the Materials Project database, functional PBE.

a = 3.2623 Å, b = 11.0498 Å, c = 16.7584 Å
α = 90.00°, β = 90.00°, γ = 90.00°
Atoms (fractional coordinates):
Ca 0.0000 0.1148 0.0000
Ca 0.0000 0.1317 0.6016
Ca 0.0000 0.3682 0.3048
Ca 0.0000 0.6318 0.8048
Ca 0.0000 0.8683 0.1016
Ca 0.0000 0.8852 0.5000
Ca 0.5000 0.1577 0.8103
Ca 0.5000 0.3449 0.0955
Ca 0.5000 0.3817 0.4991
Ca 0.5000 0.6183 0.9991
Ca 0.5000 0.6551 0.5955
Ca 0.5000 0.8423 0.3103
In 0.0000 0.0957 0.2261
In 0.0000 0.3875 0.9111
In 0.0000 0.4019 0.6856
In 0.0000 0.5981 0.1856
In 0.0000 0.6125 0.4111
In 0.0000 0.9043 0.7261
In 0.5000 0.1191 0.4075
In 0.5000 0.8809 0.9075
O 0.0000 0.0081 0.8604
O 0.0000 0.2055 0.1223
O 0.0000 0.2459 0.4462
O 0.0000 0.2984 0.7931
O 0.0000 0.4748 0.0353
O 0.0000 0.5252 0.5353
O 0.0000 0.7016 0.2931
O 0.0000 0.7541 0.9462
O 0.0000 0.7945 0.6223
O 0.0000 0.9919 0.3604
O 0.5000 0.0317 0.5221
O 0.5000 0.0343 0.6982
O 0.5000 0.2052 0.2881
O 0.5000 0.2561 0.9499
O 0.5000 0.2943 0.6266
O 0.5000 0.4667 0.2077
O 0.5000 0.4827 0.3794
O 0.5000 0.5173 0.8794
O 0.5000 0.5333 0.7077
O 0.5000 0.7057 0.1266
O 0.5000 0.7439 0.4499
O 0.5000 0.7948 0.7881
O 0.5000 0.9657 0.1982
O 0.5000 0.9683 0.0221

A relaxed structure of Ca2In2O5. Source: the Materials Project database, functional PBE.

a = 5.9181 Å, b = 15.1602 Å, c = 5.8963 Å
α = 90.00°, β = 90.00°, γ = 90.00°
Atoms (fractional coordinates):
Ca 0.0582 0.1115 0.0194
Ca 0.0582 0.3885 0.0194
Ca 0.4418 0.6115 0.5194
Ca 0.4418 0.8885 0.5194
Ca 0.5582 0.1115 0.4806
Ca 0.5582 0.3885 0.4806
Ca 0.9418 0.6115 0.9806
Ca 0.9418 0.8885 0.9806
In 0.0000 0.0000 0.5000
In 0.0000 0.5000 0.5000
In 0.0704 0.2500 0.5476
In 0.4296 0.7500 0.0476
In 0.5000 0.0000 0.0000
In 0.5000 0.5000 0.0000
In 0.5704 0.2500 0.9524
In 0.9296 0.7500 0.4524
O 0.0595 0.6402 0.6130
O 0.0595 0.8598 0.6130
O 0.0755 0.7500 0.1181
O 0.1975 0.5303 0.1939
O 0.1975 0.9697 0.1939
O 0.3025 0.0303 0.6939
O 0.3025 0.4697 0.6939
O 0.4245 0.2500 0.6181
O 0.4405 0.1402 0.1130
O 0.4405 0.3598 0.1130
O 0.5595 0.6402 0.8870
O 0.5595 0.8598 0.8870
O 0.5755 0.7500 0.3819
O 0.6975 0.5303 0.3061
O 0.6975 0.9697 0.3061
O 0.8025 0.0303 0.8061
O 0.8025 0.4697 0.8061
O 0.9245 0.2500 0.8819
O 0.9405 0.1402 0.3870
O 0.9405 0.3598 0.3870

A relaxed structure of CaInO3. Source: the Materials Project database, functional PBE.

a = 4.1628 Å, b = 4.1628 Å, c = 4.1628 Å
α = 90.00°, β = 90.00°, γ = 90.00°
Atoms (fractional coordinates):
Ca 0.0000 0.0000 0.0000
In 0.5000 0.5000 0.5000
O 0.0000 0.5000 0.5000
O 0.5000 0.0000 0.5000
O 0.5000 0.5000 0.0000

Asked for density across the records above, the calculation gives 4.902, 4.894, 4.671 g cm⁻³ in order.
Asked for ΔE_f across the records above, the calculation gives -2.6930, -2.5403, -1.9804 eV/atom in order.


one:
BaLaMg6 | PBE | optimized geometry Values from VASP.

Structure (Quantum ESPRESSO input):
```
&SYSTEM
  ibrav = 0, nat = 16, ntyp = 3
/
ATOMIC_SPECIES
Mg 24.30 Mg.upf
La 138.91 La.upf
........

Fun facts:
– out of 25,000 runners, i finished in 8,420 place
– i was ahead of 54% of the male finishers
– in the last 4.5 miles i passed 492 runners
– i was at mile 10 when the winner won

Play time

Play time

The girls always come up with the most imaginative games to play. They love to live in imaginary worlds. Most of the time they are not playing with toys they are running around being animals, or fairies or some other made up creature. Lately as they have been playing I have overheard them saying, “Are you being brother?” Or I hear arguments about who gets to be brother. I stopped the game and asked them to explain who brother was, and why they wanted to be brother. They went on to tell me that brother is the one who is crazy and doesn’t have to follow the rules. Brother gets to scribble, be rude, make mean faces, be messy, basically be mean. I have even heard them blame their mean behavior during playtime on “brother”. “It wasn’t me LittleZabba, I was just being brother.” And with that explanation all is well again. Even now as they are playing with lacing cards I can hear them talking. LittleZabba is currently “being brother”, she isn’t putting the laces in the holes in the right order.

Do you think I could use that excuse when I am having a mean moment? Oh, girls don’t worry, I was just being brother.

Pretend City

Pretend City

Several weeks ago LittleZabba and I went with Auntie to Pretend City. We had a great time. The kids can really pretend to be so many things; a farmer, doctor, waitress, grocery store clerk, even a dancer. It was so fun to see LittleZabba run from room to room with her eyes so filled with excitement. If it wasn’t so far away we would definitely visit Pretend City more often. Thanks Auntie for the invite!